********
First-principles (PBE-GGA) data for a relaxed K4Sn20Hg3 crystal, as listed in the Materials Project. Values from VASP.

Values from the calculation:
* energy relative to the elements: -0.132 eV per atom

Quantum ESPRESSO input file:
```
&SYSTEM
  ibrav = 0, nat = 54, ntyp = 3
/
ATOMIC_SPECIES
Sn 118.71 Sn.upf
K 39.10 K.upf
Hg 200.59 Hg.upf
ATOMIC_POSITIONS crystal
Sn 0.312 0.000 0.883
Sn 0.188 0.617 0.500
Sn 0.812 0.617 0.500
Sn 0.683 0.683 0.683
Sn 0.500 0.812 0.383
Sn 0.817 0.183 0.183
Sn 0.183 0.817 0.183
Sn 0.317 0.683 0.317
Sn 0.317 0.317 0.683
Sn 0.383 0.500 0.188
Sn 0.617 0.500 0.188
Sn 0.383 0.500 0.812
Sn 0.117 0.312 0.000
Sn 0.817 0.817 0.183
Sn 0.317 0.317 0.317
Sn 0.883 0.312 0.000
Sn 0.312 0.000 0.117
Sn 0.183 0.183 0.183
Sn 0.683 0.683 0.317
Sn 0.000 0.117 0.688
Sn 0.817 0.817 0.817
Sn 0.117 0.688 0.000
Sn 0.183 0.183 0.817
Sn 0.817 0.183 0.817
Sn 0.188 0.383 0.500
Sn 0.317 0.683 0.683
Sn 0.000 0.883 0.312
Sn 0.183 0.817 0.817
Sn 0.683 0.317 0.683
Sn 0.812 0.383 0.500
Sn 0.500 0.812 0.617
Sn 0.500 0.188 0.617
Sn 0.683 0.317 0.317
Sn 0.688 0.000 0.117
Sn 0.617 0.500 0.812
Sn 0.883 0.688 0.000
Sn 0.000 0.117 0.312
Sn 0.688 0.000 0.883
Sn 0.000 0.883 0.688
Sn 0.500 0.188 0.383
K 0.750 0.000 0.500
K 0.000 0.500 0.750
K 0.500 0.250 0.000
K 0.500 0.500 0.500
K 0.250 0.000 0.500
K 0.000 0.500 0.250
K 0.500 0.750 0.000
K 0.000 0.000 0.000
Hg 0.000 0.250 0.500
Hg 0.750 0.500 0.000
Hg 0.250 0.500 0.000
Hg 0.500 0.000 0.750
Hg 0.500 0.000 0.250
Hg 0.000 0.750 0.500
CELL_PARAMETERS angstrom
12.439 0.000 0.000
0.000 12.439 0.000
0.000 0.000 12.439
```

=====

First-principles (PBE-GGA) data for a relaxed PrTiFe11 crystal, as listed in the Materials Project. Values from VASP.

Values from the calculation:
* energy relative to the elements: -0.023 eV per atom

Quantum ESPRESSO input file:
```
&SYSTEM
  ibrav = 0, nat = 13, ntyp = 3
/
ATOMIC_SPECIES
Fe 55.84 Fe.upf
Ti 47.87 Ti.upf
Pr 140.91 Pr.upf
ATOMIC_POSITIONS crystal
Fe 0.000 0.359 0.358
Fe 0.357 0.643 0.357
Fe 0.270 0.230 0.770
Fe 0.001 0.998 0.499
Fe 0.499 0.773 0.770
Fe 0.499 0.230 0.227
Fe 0.001 0.501 0.002
Fe 0.500 0.501 0.002
Fe 0.734 0.766 0.234
Fe 0.000 0.642 0.641
Fe 0.500 0.998 0.499
Ti 0.632 0.368 0.632
Pr 0.006 0.994 0.006
CELL_PARAMETERS angstrom
0.000 0.000 4.690
-4.319 4.284 2.345
-4.319 -4.284 -2.345
```

=====

First-principles (PBE-GGA) data for a relaxed Ru crystal, as listed in the Materials Project. Values from VASP.

Values from the calculation:
* energy relative to the elements: 0.000 eV per atom
* ΔE to the lowest computed polymorph: 0.0 meV/atom

Quantum ESPRESSO input file:
```
&SYSTEM
  ibrav = 0, nat = 2, ntyp = 1
/
ATOMIC_SPECIES
Ru 101.07 Ru.upf
ATOMIC_POSITIONS crystal
Ru 0.667 0.333 0.750
Ru 0.333 0.667 0.250
CELL_PARAMETERS angstrom
-1.366 -2.367 0.000
-1.366 2.367 0.000
0.000 0.000 -4.314
```

=====

First-principles (PBE-GGA) data for a relaxed Cs7Np3Cl12O6 crystal, as listed in the Materials Project. Values from VASP.

Values from the calculation:
* energy relative to the elements: -2.336 eV per atom

Quantum ESPRESSO input file:
```
&SYSTEM
  ibrav = 0, nat = 56, ntyp = 4
/
ATOMIC_SPECIES
Cs 132.91 Cs.upf
Cl 35.45 Cl.upf
Np 237.00 Np.upf
O 16.00 O.upf
ATOMIC_POSITIONS crystal
Cs 0.375 0.625 0.750
Cs 0.000 0.204 0.500
Cs 0.000 0.704 0.500
Cs 0.125 0.875 0.250
Cs 0.796 0.796 0.796
Cs 0.500 0.000 0.704
Cs 0.704 0.500 0.000
Cs 0.500 0.000 0.204
Cs 0.250 0.125 0.875
Cs 0.625 0.750 0.375
Cs 0.204 0.500 0.000
Cs 0.296 0.296 0.296
Cs 0.875 0.250 0.125
Cs 0.750 0.375 0.625
Cl 0.857 0.811 0.286
Cl 0.954 0.643 0.929
Cl 0.525 0.714 0.071
Cl 0.189 0.975 0.046
Cl 0.311 0.357 0.786
Cl 0.811 0.286 0.857
Cl 0.357 0.786 0.311
Cl 0.214 0.025 0.571
Cl 0.143 0.454 0.429
Cl 0.429 0.143 0.454
Cl 0.454 0.429 0.143
Cl 0.071 0.525 0.714
Cl 0.975 0.046 0.189
Cl 0.025 0.571 0.214
Cl 0.571 0.214 0.025
Cl 0.929 0.954 0.643
Cl 0.546 0.475 0.689
Cl 0.046 0.189 0.975
Cl 0.643 0.929 0.954
Cl 0.786 0.311 0.357
Cl 0.286 0.857 0.811
Cl 0.714 0.071 0.525
********
What is needed: print all of the listing further above without altering anything.
First-principles (PBE-GGA) data for a relaxed K4Sn20Hg3 crystal, as listed in the Materials Project. Values from VASP.

Values from the calculation:
* energy relative to the elements: -0.132 eV per atom

Quantum ESPRESSO input file:
```
&SYSTEM
  ibrav = 0, nat = 54, ntyp = 3
/
ATOMIC_SPECIES
Sn 118.71 Sn.upf
K 39.10 K.upf
Hg 200.59 Hg.upf
ATOMIC_POSITIONS crystal
Sn 0.312 0.000 0.883
Sn 0.188 0.617 0.500
Sn 0.812 0.617 0.500
Sn 0.683 0.683 0.683
Sn 0.500 0.812 0.383
Sn 0.817 0.183 0.183
Sn 0.183 0.817 0.183
Sn 0.317 0.683 0.317
Sn 0.317 0.317 0.683
Sn 0.383 0.500 0.188
Sn 0.617 0.500 0.188
Sn 0.383 0.500 0.812
Sn 0.117 0.312 0.000
Sn 0.817 0.817 0.183
Sn 0.317 0.317 0.317
Sn 0.883 0.312 0.000
Sn 0.312 0.000 0.117
Sn 0.183 0.183 0.183
Sn 0.683 0.683 0.317
Sn 0.000 0.117 0.688
Sn 0.817 0.817 0.817
Sn 0.117 0.688 0.000
Sn 0.183 0.183 0.817
Sn 0.817 0.183 0.817
Sn 0.188 0.383 0.500
Sn 0.317 0.683 0.683
Sn 0.000 0.883 0.312
Sn 0.183 0.817 0.817
Sn 0.683 0.317 0.683
Sn 0.812 0.383 0.500
Sn 0.500 0.812 0.617
Sn 0.500 0.188 0.617
Sn 0.683 0.317 0.317
Sn 0.688 0.000 0.117
Sn 0.617 0.500 0.812
Sn 0.883 0.688 0.000
Sn 0.000 0.117 0.312
Sn 0.688 0.000 0.883
Sn 0.000 0.883 0.688
Sn 0.500 0.188 0.383
K 0.750 0.000 0.500
K 0.000 0.500 0.750
K 0.500 0.250 0.000
K 0.500 0.500 0.500
K 0.250 0.000 0.500
K 0.000 0.500 0.250
K 0.500 0.750 0.000
K 0.000 0.000 0.000
Hg 0.000 0.250 0.500
Hg 0.750 0.500 0.000
Hg 0.250 0.500 0.000
Hg 0.500 0.000 0.750
Hg 0.500 0.000 0.250
Hg 0.000 0.750 0.500
CELL_PARAMETERS angstrom
12.439 0.000 0.000
0.000 12.439 0.000
0.000 0.000 12.439
```

=====

First-principles (PBE-GGA) data for a relaxed PrTiFe11 crystal, as listed in the Materials Project. Values from VASP.

Values from the calculation:
* energy relative to the elements: -0.023 eV per atom

Quantum ESPRESSO input file:
```
&SYSTEM
  ibrav = 0, nat = 13, ntyp = 3
/
ATOMIC_SPECIES
Fe 55.84 Fe.upf
Ti 47.87 Ti.upf
Pr 140.91 Pr.upf
ATOMIC_POSITIONS crystal
Fe 0.000 0.359 0.358
Fe 0.357 0.643 0.357
Fe 0.270 0.230 0.770
Fe 0.001 0.998 0.499
Fe 0.499 0.773 0.770
Fe 0.499 0.230 0.227
Fe 0.001 0.501 0.002
Fe 0.500 0.501 0.002
Fe 0.734 0.766 0.234
Fe 0.000 0.642 0.641
Fe 0.500 0.998 0.499
Ti 0.632 0.368 0.632
Pr 0.006 0.994 0.006
CELL_PARAMETERS angstrom
0.000 0.000 4.690
-4.319 4.284 2.345
-4.319 -4.284 -2.345
```

=====

First-principles (PBE-GGA) data for a relaxed Ru crystal, as listed in the Materials Project. Values from VASP.

Values from the calculation:
* energy relative to the elements: 0.000 eV per atom
* ΔE to the lowest computed polymorph: 0.0 meV/atom

Quantum ESPRESSO input file:
```
&SYSTEM
  ibrav = 0, nat = 2, ntyp = 1
/
ATOMIC_SPECIES
Ru 101.07 Ru.upf
ATOMIC_POSITIONS crystal
Ru 0.667 0.333 0.750
Ru 0.333 0.667 0.250
CELL_PARAMETERS angstrom
-1.366 -2.367 0.000
-1.366 2.367 0.000
0.000 0.000 -4.314
```

=====

First-principles (PBE-GGA) data for a relaxed Cs7Np3Cl12O6 crystal, as listed in the Materials Project. Values from VASP.

Values from the calculation:
* energy relative to the elements: -2.336 eV per atom

Quantum ESPRESSO input file:
```
&SYSTEM
  ibrav = 0, nat = 56, ntyp = 4
/
ATOMIC_SPECIES
Cs 132.91 Cs.upf
Cl 35.45 Cl.upf
Np 237.00 Np.upf
O 16.00 O.upf
ATOMIC_POSITIONS crystal
Cs 0.375 0.625 0.750
Cs 0.000 0.204 0.500
Cs 0.000 0.704 0.500
Cs 0.125 0.875 0.250
Cs 0.796 0.796 0.796
Cs 0.500 0.000 0.704
Cs 0.704 0.500 0.000
Cs 0.500 0.000 0.204
Cs 0.250 0.125 0.875
Cs 0.625 0.750 0.375
Cs 0.204 0.500 0.000
Cs 0.296 0.296 0.296
Cs 0.875 0.250 0.125
Cs 0.750 0.375 0.625
Cl 0.857 0.811 0.286
Cl 0.954 0.643 0.929
Cl 0.525 0.714 0.071
Cl 0.189 0.975 0.046
Cl 0.311 0.357 0.786
Cl 0.811 0.286 0.857
Cl 0.357 0.786 0.311
Cl 0.214 0.025 0.571
Cl 0.143 0.454 0.429
Cl 0.429 0.143 0.454
Cl 0.454 0.429 0.143
Cl 0.071 0.525 0.714
Cl 0.975 0.046 0.189
Cl 0.025 0.571 0.214
Cl 0.571 0.214 0.025
Cl 0.929 0.954 0.643
Cl 0.546 0.475 0.689
Cl 0.046 0.189 0.975
Cl 0.643 0.929 0.954
Cl 0.786 0.311 0.357
Cl 0.286 0.857 0.811
Cl 0.714 0.071 0.525